• Wanted:
Now type out all of the lines underneath word for word.

• Entries:
........
[1]
The following is a DFT calculation (the ωB97M-V functional and the def2-TZVPD basis) of a 6-piece molecular cluster, C62H66FN6O14PSi overall in a non-equilibrium geometry.

Summary:
Maximum force, Eh/bohr: 0.0751
E_tot, eV: -122833.46844
HOMO, eV: -8.07

Last column: Löwdin charge in e.
CARTESIAN COORDINATES (ANGSTROEM)
1 C 3.1345 -1.8637 3.1296  0.06
2 C 4.2750 -2.3075 3.0907  -0.12
3 C 5.8126 -2.5814 2.8787  -0.19
4 C 6.6898 -1.4637 3.5841  -0.19
5 C 6.7352 -0.0565 2.8288  -0.16
6 C 6.2774 -0.0899 1.3286  -0.15
7 C 4.8167 0.1661 1.0177  0.05
8 C 4.2345 0.1630 -0.3692  -0.08
9 C 2.7177 0.3792 -0.7046  -0.15
10 C 2.1256 1.7711 -0.2148  -0.19
11 C 0.8565 2.1323 -1.1336  -0.20
12 C -0.3223 1.0643 -1.0165  -0.21
13 C -1.7711 1.7291 -0.9115  -0.21
14 C -2.9548 0.6626 -1.0539  -0.20
15 C -4.1260 0.8892 0.0327  -0.24
16 C -5.5572 0.4029 -0.4916  -0.26
17 Si -6.6634 -0.3277 0.8987  0.57
18 C -7.2728 1.0090 2.1289  -0.19
19 C -5.6751 -1.6272 1.9140  -0.20
20 C -8.2188 -1.2015 0.1607  -0.22
21 C -9.5658 -1.1650 0.8113  -0.08
22 C -10.7954 -1.8983 0.2351  -0.09
23 C -10.6738 -2.7044 -1.0303  -0.09
24 C -9.3095 -2.7060 -1.7040  -0.09
25 C -8.1201 -1.9801 -1.1452  -0.07
26 C 5.1787 -0.0675 -1.5006  0.02
27 C 6.6558 -0.3191 -1.1929  -0.03
28 C 7.2441 -0.3660 0.1746  -0.25
29 P 9.0522 -0.7481 0.4262  0.89
30 C 9.7326 0.7963 1.3239  -0.27
31 O 9.9455 -0.8203 -1.0030  -0.34
32 C 7.2153 -0.4795 -2.6336  -0.33
33 O 8.2655 -0.2505 -3.1996  0.12
34 N 6.1277 -0.9481 -3.5004  -0.02
35 C 5.9182 -2.4001 -3.6466  -0.04
36 C 7.0977 -2.9631 -4.5338  -0.34
37 O 7.2324 -2.6800 -5.6882  0.15
38 F 8.0461 -3.8860 -4.0167  0.03
39 C 4.9679 -0.1556 -3.0584  -0.31
40 O 4.0762 0.3230 -3.7215  0.13
41 H 2.1826 -1.2679 3.0703  0.05
42 H 6.0829 -2.7905 1.8039  0.11
43 H 6.0184 -3.5522 3.4451  0.11
44 H 6.2047 -1.2709 4.5972  0.12
45 H 7.7284 -1.8573 3.8223  0.11
46 H 7.7610 0.3869 2.9952  0.06
47 H 6.0141 0.6353 3.3809  0.10
48 H 4.0810 0.3764 1.8546  0.09
49 H 2.5177 0.2917 -1.8217  0.10
50 H 2.0856 -0.4394 -0.2255  0.12
51 H 2.9122 2.5821 -0.2479  0.12
52 H 1.7188 1.6977 0.8459  0.07
53 H 1.2327 2.1215 -2.1998  0.11
54 H 0.4580 3.1609 -0.8896  0.11
55 H -0.3267 0.4736 -1.9855  0.11
56 H -0.1375 0.3455 -0.1641  0.11
57 H -1.9044 2.2737 0.0716  0.11
58 H -1.9291 2.4837 -1.7488  0.11
59 H -2.6080 -0.4131 -0.9706  0.11
60 H -3.4436 0.7725 -2.0664  0.08
61 H -3.7962 0.3560 0.9762  0.09
62 H -4.2084 2.0027 0.2222  0.10
63 H -6.1146 1.2903 -0.9218  0.09
64 H -5.4599 -0.3903 -1.2988  0.03
65 H -8.2285 1.4956 1.7748  0.01
66 H -6.4904 1.8309 2.2170  0.04
67 H -7.4172 0.5743 3.1712  0.04
68 H -6.2558 -1.9942 2.8244  0.04
69 H -4.7159 -1.1666 2.3268  0.03
70 H -5.4167 -2.4970 1.2207  0.04
71 H -9.6956 -0.5716 1.7658  0.09
72 H -11.7886 -1.8331 0.7782  0.09
73 H -11.5483 -3.2544 -1.4941  0.09
74 H -9.1796 -3.2852 -2.6683  0.08
75 H -7.1176 -1.9936 -1.6753  0.07
76 H 10.8350 0.8316 1.0227  0.05
77 H 9.7360 0.6485 2.4490  0.02
78 H 9.2374 1.7540 0.9923  0.05
79 H 10.0315 0.1051 -1.3317  0.06
80 H 5.7920 -2.9054 -2.6431  0.14
81 H 4.9684 -2.5307 -4.2630  0.15
82 C 4.5002 3.6677 6.3093  -0.06
83 C 3.1768 3.7411 6.7300  -0.06
84 C 2.1627 3.2362 5.9267  0.00
85 C 2.4865 2.6557 4.7057  -0.13
86 C 3.8064 2.5853 4.2744  0.01
87 C 4.8150 3.0950 5.0819  -0.05
88 N 1.4214 2.0983 3.8657  -0.32
89 O 0.2744 2.1932 4.2642  0.09
90 O 1.7475 1.5655 2.8137  0.03
91 H 5.2909 4.0582 6.9421  0.10
92 H 2.9363 4.1898 7.6871  0.11
93 H 1.1353 3.2985 6.2646  0.12
94 H 4.0636 2.1385 3.3212  0.10
95 H 5.8481 3.0426 4.7564  0.08
96 C 1.3235 -6.0050 -5.3471  -0.07
97 C 0.7672 -6.4191 -4.1421  -0.07
98 C 0.6654 -5.5291 -3.0806  0.00
99 C 1.1202 -4.2254 -3.2393  -0.14
100 C 1.6846 -3.8052 -4.4384  -0.01
101 C 1.7855 -4.7018 -5.4944  -0.07
102 N 0.9923 -3.2748 -2.1299  -0.34
103 O 0.5101 -3.6807 -1.0858  0.08
104 O 1.3732 -2.1311 -2.3177  0.07
105 H 1.3965 -6.7010 -6.1762  0.11
106 H 0.4097 -7.4366 -4.0315  0.11
107 H 0.2302 -5.8627 -2.1463  0.12
108 H 2.0449 -2.7908 -4.5653  0.12
........

• Result:
[1]
The following is a DFT calculation (the ωB97M-V functional and the def2-TZVPD basis) of a 6-piece molecular cluster, C62H66FN6O14PSi overall in a non-equilibrium geometry.

Summary:
Maximum force, Eh/bohr: 0.0751
E_tot, eV: -122833.46844
HOMO, eV: -8.07

Last column: Löwdin charge in e.
CARTESIAN COORDINATES (ANGSTROEM)
1 C 3.1345 -1.8637 3.1296  0.06
2 C 4.2750 -2.3075 3.0907  -0.12
3 C 5.8126 -2.5814 2.8787  -0.19
4 C 6.6898 -1.4637 3.5841  -0.19
5 C 6.7352 -0.0565 2.8288  -0.16
6 C 6.2774 -0.0899 1.3286  -0.15
7 C 4.8167 0.1661 1.0177  0.05
8 C 4.2345 0.1630 -0.3692  -0.08
9 C 2.7177 0.3792 -0.7046  -0.15
10 C 2.1256 1.7711 -0.2148  -0.19
11 C 0.8565 2.1323 -1.1336  -0.20
12 C -0.3223 1.0643 -1.0165  -0.21
13 C -1.7711 1.7291 -0.9115  -0.21
14 C -2.9548 0.6626 -1.0539  -0.20
15 C -4.1260 0.8892 0.0327  -0.24
16 C -5.5572 0.4029 -0.4916  -0.26
17 Si -6.6634 -0.3277 0.8987  0.57
18 C -7.2728 1.0090 2.1289  -0.19
19 C -5.6751 -1.6272 1.9140  -0.20
20 C -8.2188 -1.2015 0.1607  -0.22
21 C -9.5658 -1.1650 0.8113  -0.08
22 C -10.7954 -1.8983 0.2351  -0.09
23 C -10.6738 -2.7044 -1.0303  -0.09
24 C -9.3095 -2.7060 -1.7040  -0.09
25 C -8.1201 -1.9801 -1.1452  -0.07
26 C 5.1787 -0.0675 -1.5006  0.02
27 C 6.6558 -0.3191 -1.1929  -0.03
28 C 7.2441 -0.3660 0.1746  -0.25
29 P 9.0522 -0.7481 0.4262  0.89
30 C 9.7326 0.7963 1.3239  -0.27
31 O 9.9455 -0.8203 -1.0030  -0.34
32 C 7.2153 -0.4795 -2.6336  -0.33
33 O 8.2655 -0.2505 -3.1996  0.12
34 N 6.1277 -0.9481 -3.5004  -0.02
35 C 5.9182 -2.4001 -3.6466  -0.04
36 C 7.0977 -2.9631 -4.5338  -0.34
37 O 7.2324 -2.6800 -5.6882  0.15
38 F 8.0461 -3.8860 -4.0167  0.03
39 C 4.9679 -0.1556 -3.0584  -0.31
40 O 4.0762 0.3230 -3.7215  0.13
41 H 2.1826 -1.2679 3.0703  0.05
42 H 6.0829 -2.7905 1.8039  0.11
43 H 6.0184 -3.5522 3.4451  0.11
44 H 6.2047 -1.2709 4.5972  0.12
45 H 7.7284 -1.8573 3.8223  0.11
46 H 7.7610 0.3869 2.9952  0.06
47 H 6.0141 0.6353 3.3809  0.10
48 H 4.0810 0.3764 1.8546  0.09
49 H 2.5177 0.2917 -1.8217  0.10
50 H 2.0856 -0.4394 -0.2255  0.12
51 H 2.9122 2.5821 -0.2479  0.12
52 H 1.7188 1.6977 0.8459  0.07
53 H 1.2327 2.1215 -2.1998  0.11
54 H 0.4580 3.1609 -0.8896  0.11
55 H -0.3267 0.4736 -1.9855  0.11
56 H -0.1375 0.3455 -0.1641  0.11
57 H -1.9044 2.2737 0.0716  0.11
58 H -1.9291 2.4837 -1.7488  0.11
59 H -2.6080 -0.4131 -0.9706  0.11
60 H -3.4436 0.7725 -2.0664  0.08
61 H -3.7962 0.3560 0.9762  0.09
62 H -4.2084 2.0027 0.2222  0.10
63 H -6.1146 1.2903 -0.9218  0.09
64 H -5.4599 -0.3903 -1.2988  0.03
65 H -8.2285 1.4956 1.7748  0.01
66 H -6.4904 1.8309 2.2170  0.04
67 H -7.4172 0.5743 3.1712  0.04
68 H -6.2558 -1.9942 2.8244  0.04
69 H -4.7159 -1.1666 2.3268  0.03
70 H -5.4167 -2.4970 1.2207  0.04
71 H -9.6956 -0.5716 1.7658  0.09
72 H -11.7886 -1.8331 0.7782  0.09
73 H -11.5483 -3.2544 -1.4941  0.09
74 H -9.1796 -3.2852 -2.6683  0.08
75 H -7.1176 -1.9936 -1.6753  0.07
76 H 10.8350 0.8316 1.0227  0.05
77 H 9.7360 0.6485 2.4490  0.02
78 H 9.2374 1.7540 0.9923  0.05
79 H 10.0315 0.1051 -1.3317  0.06
80 H 5.7920 -2.9054 -2.6431  0.14
81 H 4.9684 -2.5307 -4.2630  0.15
82 C 4.5002 3.6677 6.3093  -0.06
83 C 3.1768 3.7411 6.7300  -0.06
84 C 2.1627 3.2362 5.9267  0.00
85 C 2.4865 2.6557 4.7057  -0.13
86 C 3.8064 2.5853 4.2744  0.01
87 C 4.8150 3.0950 5.0819  -0.05
88 N 1.4214 2.0983 3.8657  -0.32
89 O 0.2744 2.1932 4.2642  0.09
90 O 1.7475 1.5655 2.8137  0.03
91 H 5.2909 4.0582 6.9421  0.10
92 H 2.9363 4.1898 7.6871  0.11
93 H 1.1353 3.2985 6.2646  0.12
94 H 4.0636 2.1385 3.3212  0.10
95 H 5.8481 3.0426 4.7564  0.08
96 C 1.3235 -6.0050 -5.3471  -0.07
97 C 0.7672 -6.4191 -4.1421  -0.07
98 C 0.6654 -5.5291 -3.0806  0.00
99 C 1.1202 -4.2254 -3.2393  -0.14
100 C 1.6846 -3.8052 -4.4384  -0.01
101 C 1.7855 -4.7018 -5.4944  -0.07
102 N 0.9923 -3.2748 -2.1299  -0.34
103 O 0.5101 -3.6807 -1.0858  0.08
104 O 1.3732 -2.1311 -2.3177  0.07
105 H 1.3965 -6.7010 -6.1762  0.11
106 H 0.4097 -7.4366 -4.0315  0.11
107 H 0.2302 -5.8627 -2.1463  0.12
108 H 2.0449 -2.7908 -4.5653  0.12